Work order =
It remains to find the line underneath that holds "(0.2500, 0.2709,", then echo that line and all lines after it there.

Entries =
********
1.
Material: YCo5P3
Method: DFT, PBE-GGA
State: relaxed

Cell lengths 3.6499, 10.2751, 11.7407 Å; angles 90.00, 90.00, 90.00 degrees
Fractional coordinates of all 36 atoms:
Y (0.2500, 0.9170, 0.2028)
Y (0.7500, 0.0830, 0.7972)
Y (0.7500, 0.4170, 0.2972)
Y (0.2500, 0.5830, 0.7028)
Co (0.2500, 0.7843, 0.4908)
Co (0.7500, 0.2157, 0.5092)
Co (0.7500, 0.2843, 0.0092)
Co (0.2500, 0.7157, 0.9908)
Co (0.2500, 0.0933, 0.9882)
Co (0.7500, 0.9067, 0.0118)
Co (0.7500, 0.5933, 0.5118)
Co (0.2500, 0.4067, 0.4882)
Co (0.2500, 0.2788, 0.6766)
Co (0.7500, 0.7212, 0.3234)
Co (0.7500, 0.7788, 0.8234)
Co (0.2500, 0.2212, 0.1766)
Co (0.2500, 0.6175, 0.1984)
Co (0.7500, 0.3825, 0.8016)
Co (0.7500, 0.1175, 0.3016)
Co (0.2500, 0.8825, 0.6984)
Co (0.2500, 0.0324, 0.4319)
Co (0.7500, 0.9676, 0.5681)
Co (0.7500, 0.5324, 0.0681)
Co (0.2500, 0.4676, 0.9319)
P (0.2500, 0.0815, 0.6118)
P (0.7500, 0.9185, 0.3882)
P (0.7500, 0.5815, 0.8882)
P (0.2500, 0.4185, 0.1118)
P (0.2500, 0.2291, 0.3703)
P (0.7500, 0.7709, 0.6297)
P (0.7500, 0.7291, 0.1297)
P (0.2500, 0.2709, 0.8703)
P (0.2500, 0.8977, 0.8914)
P (0.7500, 0.1023, 0.1086)
P (0.7500, 0.3977, 0.6086)
P (0.2500, 0.6023, 0.3914)

Uncorrected energy   -65.8 eV per formula unit
Symmetry   Pnma, No. 62
Volume   440.3 Å³/cell
E_form   -7.55 eV/f.u.
Crystal system   orthorhombic



2.
Material: CaHf8N8O4
Method: DFT, PBE-GGA
State: relaxed

Cell lengths 5.5283, 5.5156, 10.8290 Å; angles 90.49, 74.37, 59.70 degrees
Fractional coordinates of all 21 atoms:
Ca (0.4965, 0.2233, 0.7509)
Hf (0.1384, 0.4362, 0.2917)
Hf (0.1285, 0.8986, 0.7889)
Hf (0.3440, 0.3539, 0.0096)
Hf (0.6587, 0.1937, 0.4923)
Hf (0.3491, 0.8424, 0.4736)
Hf (0.8417, 0.0859, 0.2095)
Hf (0.6601, 0.6814, 0.0275)
Hf (0.8527, 0.5503, 0.7128)
N (0.4560, 0.1166, 0.3686)
N (0.5508, 0.3900, 0.1309)
N (0.2543, 0.5591, 0.6305)
N (0.7494, 0.4358, 0.3705)
N (0.4487, 0.6102, 0.8745)
N (0.9315, 0.6841, 0.1323)
N (0.9498, 0.1638, 0.6244)
N (0.7413, 0.9224, 0.8812)
O (0.2570, 0.0683, 0.1316)
O (0.0724, 0.8165, 0.3758)
O (0.0506, 0.3034, 0.8747)
O (0.5780, 0.8496, 0.6172)

Uncorrected energy   -208.7 eV per formula unit
Symmetry   P1, No. 1
Volume   270.4 Å³/cell
E_form   -43.30 eV/f.u.
Corrected total energy (MP2020 scheme)   -211.451 eV per cell
Crystal system   triclinic
Excess energy over the best structure of this formula in the dataset   122.6 meV/atom



3.
Material: GdCu4Pd
Method: DFT, PBE-GGA
State: relaxed

Cell lengths 5.1637, 5.1637, 5.1637 Å; angles 58.16, 58.16, 58.16 degrees
Fractional coordinates of all 6 atoms:
Gd (0.9993, 0.9993, 0.9993)
Cu (0.6257, 0.1275, 0.6257)
Cu (0.1275, 0.6257, 0.6257)
Cu (0.6257, 0.6257, 0.1275)
Cu (0.2473, 0.2473, 0.2473)
Pd (0.6246, 0.6246, 0.6246)

Uncorrected energy   -37.4 eV per formula unit
Symmetry   R3m, No. 160
Volume   93.2 Å³/cell
E_form   -1.78 eV/f.u.
Crystal system   trigonal
Excess energy over the best structure of this formula in the dataset   40.0 meV/atom



4.
Material: Nb2Br5
Method: DFT, PBE-GGA
State: relaxed

Cell lengths 9.3729, 9.3729, 6.0268 Å; angles 90.00, 90.00, 105.61 degrees
Fractional coordinates of all 14 atoms:
Nb (0.8278, 0.8278, 0.0000)
Nb (0.8278, 0.8278, 0.5000)
Nb (0.1722, 0.1722, 0.5000)
Nb (0.1722, 0.1722, 0.0000)
Br (0.0278, 0.3227, 0.7500)
Br (0.4105, 0.2621, 0.7500)
Br (0.9118, 0.0882, 0.2500)
Br (0.0882, 0.9118, 0.7500)
Br (0.2621, 0.4105, 0.2500)
Br (0.7379, 0.5895, 0.7500)
Br (0.3227, 0.0278, 0.2500)
Br (0.5895, 0.7379, 0.2500)
Br (0.6773, 0.9722, 0.7500)
Br (0.9722, 0.6773, 0.2500)

Uncorrected energy   -33.1 eV per formula unit
Symmetry   Cmcm, No. 63
Volume   509.9 Å³/cell
E_form   -7.42 eV/f.u.
Corrected total energy (MP2020 scheme)   -71.623 eV per cell
Crystal system   orthorhombic
Excess energy over the best structure of this formula in the dataset   152.9 meV/atom



5.
Material: K2CeCuI6
Method: DFT, PBE-GGA
State: relaxed

Cell lengths 8.4562, 8.4562, 8.4562 Å; angles 60.00, 60.00, 60.00 degrees
Fractional coordinates of all 10 atoms:
K (0.7500, 0.7500, 0.7500)
********

Here it is =
P (0.2500, 0.2709, 0.8703)
P (0.2500, 0.8977, 0.8914)
P (0.7500, 0.1023, 0.1086)
P (0.7500, 0.3977, 0.6086)
P (0.2500, 0.6023, 0.3914)

Uncorrected energy   -65.8 eV per formula unit
Symmetry   Pnma, No. 62
Volume   440.3 Å³/cell
E_form   -7.55 eV/f.u.
Crystal system   orthorhombic



2.
Material: CaHf8N8O4
Method: DFT, PBE-GGA
State: relaxed

Cell lengths 5.5283, 5.5156, 10.8290 Å; angles 90.49, 74.37, 59.70 degrees
Fractional coordinates of all 21 atoms:
Ca (0.4965, 0.2233, 0.7509)
Hf (0.1384, 0.4362, 0.2917)
Hf (0.1285, 0.8986, 0.7889)
Hf (0.3440, 0.3539, 0.0096)
Hf (0.6587, 0.1937, 0.4923)
Hf (0.3491, 0.8424, 0.4736)
Hf (0.8417, 0.0859, 0.2095)
Hf (0.6601, 0.6814, 0.0275)
Hf (0.8527, 0.5503, 0.7128)
N (0.4560, 0.1166, 0.3686)
N (0.5508, 0.3900, 0.1309)
N (0.2543, 0.5591, 0.6305)
N (0.7494, 0.4358, 0.3705)
N (0.4487, 0.6102, 0.8745)
N (0.9315, 0.6841, 0.1323)
N (0.9498, 0.1638, 0.6244)
N (0.7413, 0.9224, 0.8812)
O (0.2570, 0.0683, 0.1316)
O (0.0724, 0.8165, 0.3758)
O (0.0506, 0.3034, 0.8747)
O (0.5780, 0.8496, 0.6172)

Uncorrected energy   -208.7 eV per formula unit
Symmetry   P1, No. 1
Volume   270.4 Å³/cell
E_form   -43.30 eV/f.u.
Corrected total energy (MP2020 scheme)   -211.451 eV per cell
Crystal system   triclinic
Excess energy over the best structure of this formula in the dataset   122.6 meV/atom



3.
Material: GdCu4Pd
Method: DFT, PBE-GGA
State: relaxed

Cell lengths 5.1637, 5.1637, 5.1637 Å; angles 58.16, 58.16, 58.16 degrees
Fractional coordinates of all 6 atoms:
Gd (0.9993, 0.9993, 0.9993)
Cu (0.6257, 0.1275, 0.6257)
Cu (0.1275, 0.6257, 0.6257)
Cu (0.6257, 0.6257, 0.1275)
Cu (0.2473, 0.2473, 0.2473)
Pd (0.6246, 0.6246, 0.6246)

Uncorrected energy   -37.4 eV per formula unit
Symmetry   R3m, No. 160
Volume   93.2 Å³/cell
E_form   -1.78 eV/f.u.
Crystal system   trigonal
Excess energy over the best structure of this formula in the dataset   40.0 meV/atom



4.
Material: Nb2Br5
Method: DFT, PBE-GGA
State: relaxed

Cell lengths 9.3729, 9.3729, 6.0268 Å; angles 90.00, 90.00, 105.61 degrees
Fractional coordinates of all 14 atoms:
Nb (0.8278, 0.8278, 0.0000)
Nb (0.8278, 0.8278, 0.5000)
Nb (0.1722, 0.1722, 0.5000)
Nb (0.1722, 0.1722, 0.0000)
Br (0.0278, 0.3227, 0.7500)
Br (0.4105, 0.2621, 0.7500)
Br (0.9118, 0.0882, 0.2500)
Br (0.0882, 0.9118, 0.7500)
Br (0.2621, 0.4105, 0.2500)
Br (0.7379, 0.5895, 0.7500)
Br (0.3227, 0.0278, 0.2500)
Br (0.5895, 0.7379, 0.2500)
Br (0.6773, 0.9722, 0.7500)
Br (0.9722, 0.6773, 0.2500)

Uncorrected energy   -33.1 eV per formula unit
Symmetry   Cmcm, No. 63
Volume   509.9 Å³/cell
E_form   -7.42 eV/f.u.
Corrected total energy (MP2020 scheme)   -71.623 eV per cell
Crystal system   orthorhombic
Excess energy over the best structure of this formula in the dataset   152.9 meV/atom



5.
Material: K2CeCuI6
Method: DFT, PBE-GGA
State: relaxed

Cell lengths 8.4562, 8.4562, 8.4562 Å; angles 60.00, 60.00, 60.00 degrees
Fractional coordinates of all 10 atoms:
K (0.7500, 0.7500, 0.7500)